The reader should work out how many lines further down have the word "relaxed" in them; a number is enough.

~~~
Entry 1:
Entry from the Alexandria database: a relaxed structure of NaMg (GGA-PBE).

a b c (Å): 9.2189 9.2189 9.2189
angles (deg): 90.00 90.00 90.00
Fractional coordinates of all 12 atoms:
Na (0.0000, 0.2500, 0.5000)
Na (0.0000, 0.7500, 0.5000)
Na (0.2500, 0.5000, 0.0000)
Na (0.5000, 0.0000, 0.2500)
Na (0.5000, 0.0000, 0.7500)
Na (0.7500, 0.5000, 0.0000)
Mg (0.0000, 0.5000, 0.2500)
Mg (0.0000, 0.5000, 0.7500)
Mg (0.2500, 0.0000, 0.5000)
Mg (0.5000, 0.2500, 0.0000)
Mg (0.5000, 0.7500, 0.0000)
Mg (0.7500, 0.0000, 0.5000)

Output
space-group type: Pm-3n, No. 223
D(E_F): 8.61 states/eV/cell
energy of formation: 1.397 eV/f.u.
V: 783.5 Å³ per cell



Entry 2:
Entry from the Alexandria database: a relaxed structure of Na5Mg3 (GGA-PBE).

a b c (Å): 9.7703 9.7703 9.2439
angles (deg): 95.47 95.47 143.25
Fractional coordinates of all 16 atoms:
Na (0.0000, 0.0000, 0.0000)
Na (0.0020, 0.3367, 0.8156)
Na (0.1802, 0.5166, 0.2168)
Na (0.3367, 0.0020, 0.8156)
Na (0.5166, 0.1802, 0.2168)
Na (0.5179, 0.5179, 0.0315)
Na (0.5200, 0.7211, 0.6684)
Na (0.7211, 0.5200, 0.6684)
Na (0.7962, 0.9984, 0.3627)
Na (0.9984, 0.7962, 0.3627)
Mg (0.0157, 0.5041, 0.5176)
Mg (0.1493, 0.1493, 0.6580)
Mg (0.3681, 0.3681, 0.3726)
Mg (0.5041, 0.0157, 0.5176)
Mg (0.5751, 0.9405, 0.0143)
Mg (0.9405, 0.5751, 0.0143)

Output
space-group type: Cm, No. 8
D(E_F): 6.65 states/eV/cell
energy of formation: 1.104 eV/f.u.
V: 503.2 Å³ per cell
distance to the lowest polymorph of the same formula: 48 meV per atom



Entry 3:
Entry from the Alexandria database: a relaxed structure of Na17Mg2 (GGA-PBE).

a b c (Å): 9.4666 9.4666 9.4666
angles (deg): 66.07 66.07 66.07
Fractional coordinates of all 19 atoms:
Na (0.0000, 0.0000, 0.5000)
Na (0.0000, 0.3127, 0.6873)
Na (0.0000, 0.5000, 0.0000)
Na (0.0000, 0.6873, 0.3127)
Na (0.0885, 0.0885, 0.0885)
Na (0.1998, 0.5641, 0.5641)
Na (0.3127, 0.0000, 0.6873)
Na (0.3127, 0.6873, 0.0000)
Na (0.4359, 0.4359, 0.8002)
Na (0.4359, 0.8002, 0.4359)
Na (0.5000, 0.0000, 0.0000)
Na (0.5641, 0.1998, 0.5641)
Na (0.5641, 0.5641, 0.1998)
Na (0.6873, 0.0000, 0.3127)
Na (0.6873, 0.3127, 0.0000)
Na (0.8002, 0.4359, 0.4359)
Na (0.9115, 0.9115, 0.9115)
Mg (0.2856, 0.2856, 0.2856)
Mg (0.7144, 0.7144, 0.7144)

Output
space-group type: R-3m, No. 166
D(E_F): 9.35 states/eV/cell
energy of formation: 2.165 eV/f.u.
V: 678.6 Å³ per cell



Entry 4:
Entry from the Alexandria database: a relaxed structure of NaMg4 (GGA-PBE).

a b c (Å): 8.0871 8.0871 8.0871
angles (deg): 148.97 148.97 44.45
Fractional coordinates of all 5 atoms:
Na (0.0000, 0.0000, 0.0000)
Mg (0.2500, 0.7500, 0.5000)
Mg (0.3998, 0.3998, 0.0000)
Mg (0.6002, 0.6002, 0.0000)
Mg (0.7500, 0.2500, 0.5000)

Output
space-group type: I4/mmm, No. 139
D(E_F): 2.01 states/eV/cell
energy of formation: 0.920 eV/f.u.
V: 140.1 Å³ per cell
distance to the lowest polymorph of the same formula: 114 meV per atom



Entry 5:
Entry from the Alexandria database: a relaxed structure of NaMg (GGA-PBE).

a b c (Å): 3.3125 3.3125 5.2080
angles (deg): 90.00 90.00 90.00
Fractional coordinates of all 2 atoms:
Na (0.0000, 0.0000, 0.0000)
Mg (0.5000, 0.5000, 0.5000)

Output
space-group type: P4/mmm, No. 123
D(E_F): 0.85 states/eV/cell
energy of formation: 0.233 eV/f.u.
V: 57.1 Å³ per cell



Entry 6:
Entry from the Alexandria database: a relaxed structure of NaMg (GGA-PBE).

a b c (Å): 3.2829 3.2829 12.1594
angles (deg): 90.00 90.00 120.00
Fractional coordinates of all 4 atoms:
Na (0.3333, 0.6667, 0.0000)
Na (0.6667, 0.3333, 0.5000)
Mg (0.3333, 0.6667, 0.2633)
Mg (0.6667, 0.3333, 0.7634)

Output
space-group type: P6_3mc, No. 186
D(E_F): 2.43 states/eV/cell
energy of formation: 0.331 eV/f.u.
V: 113.5 Å³ per cell



Entry 7:
Entry from the Alexandria database: a relaxed structure of Na5Mg3 (GGA-PBE).

a b c (Å): 6.8431 6.8431 5.2247
angles (deg): 90.00 90.00 99.35
Fractional coordinates of all 8 atoms:
Na (0.0000, 0.0000, 0.0000)
Na (0.0000, 0.5000, 0.0000)
Na (0.2268, 0.7732, 0.5000)
Na (0.5000, 0.0000, 0.0000)
~~~

7